Every time you turn around, there’s another Republican announcing he’s not running for president.
Early on, George Pataki, Rudy Giuliani, Bobby Jindal, Chris Christie, Rick Perry and Jeb Bush all declined to throw their hat in the ring. Then Haley Barbour folded his tent. Followed by Donald Trump and Mike Huckabee. And now Mitch Daniels has decided to sit it out.
Each of the latest no-shows gave his own reason for dropping out or not jumping in. Haley has too much on his plate in Mississippi. The Donald has all those casinos to run. Mike’s making too much money on Fox. And Mitch wanted to run, but his wife wouldn’t let him.
Each of those excuses may be true as far as it goes. But, let’s be honest. There’s another more important reality at play here. While professional or family duties were certainly one factor in their decision, all four candidates decided not to run for the same reason: They took a good look at Barack Obama. They did a careful assessment of his record. They concluded there was no way they could beat him in 2012. And they didn’t want to waste the next 18 months pretending.
You can’t blame ’em. Sure, any knee-jerk liberal could tell you lots of things about Obama’s first two and a half years they’re not happy with. Any conservative could double that list. But Obama’s never going to convince the far left or far right. For the big block of voters in the middle, however, he’s built an impressive record.
Consider the latest. This week, six years ahead of schedule, Chrysler paid back the $5.8 billion it owed American taxpayers – plus $1.8 billion in interest. GM did the same thing a year ago. Today, auto manufacturers are back on their feet: reopening plants, rehiring workers, producing and selling better cars. All thanks to the auto bailout, started by President Bush and expanded by President Obama – a move Mitt Romney, Tim Pawlenty and Newt Gingrich all opposed at the time. They predicted it would destroy the American auto industry. Instead, just the opposite occurred. Score one for Obama.
It’s the same with TARP, another Bush-Obama program decried by Republicans and tea partiers as a massive government giveaway. Yet most banks have already paid back their loans, with interest. And corporate profits are higher than ever before. It’s a capitalist success story. Obama gets the credit.
There are other signs the economy’s steadily improving. The Dow’s settled in north of 12,000. After zooming toward $5 a gallon, gas prices are now going down. And, while 9 percent unemployment is still too high, the country’s experienced 14 straight months of positive job growth and four straight months of more than 200,000 new private-sector jobs.
To which, you can add: The last combat troops come home from Iraq in July; that same month, the first troops leave Afghanistan; universal health care’s now the law of the land; 95 percent of Americans received a tax cut as part of the stimulus package; and, by the way, lest we forget: Obama also tracked down and killed Osama bin Laden.
That in itself is a hard record for anybody to beat. But, in addition, Obama is getting a lot of help from Republicans. Even though they control the House and, by reason of the filibuster, also control the Senate, they can claim only one legislative accomplishment over the last 36 months: Paul Ryan’s budget plan. And what a disaster that is.
There’s no way to sugarcoat it. Paul Ryan’s plan to balance the budget by killing Medicare “as we know it,” while providing additional tax breaks to the wealthiest of Americans, is the worst public policy proposal since George W. Bush’s plan to privatize Social Security – and the most politically poisonous.
It’s one thing to talk about reforming Medicare. It’s another to vote to kill it. Yet that’s what all but four Republicans in the House and all but five in the Senate did. The Ryan plan is now the official Republican Party plan. They’re stuck with it. Yet they can’t defend it. Not even, as they learned this week in upstate New York, in a traditionally safe Republican district.
+++
1.
# C2H2F6NP

A 2-piece molecular cluster, C2H2F6NP overall in a non-equilibrium geometry (the ωB97M-V functional and the def2-TZVPD basis, OMol25).

```
12
Properties=species:S:1:pos:R:3:mulliken_charge:R:1
C 1.790 -1.579 -0.280 0.85
C 2.393 1.444 -0.146 0.63
N 1.621 -0.816 0.912 -0.34
F 1.630 -2.857 0.016 -0.22
F 2.953 -1.313 -0.836 -0.23
F 0.843 -1.211 -1.177 -0.29
F 1.530 2.344 -0.517 -0.20
F 2.913 1.698 1.042 -0.19
F 3.249 1.155 -1.113 -0.18
P 0.105 -0.918 1.528 0.01
H -0.484 -0.107 0.635 0.07
H 0.361 -0.049 2.599 0.08
```

Summary:
LUMO energy (alpha / beta): -1.776 / -0.245 eV
HOMO energy (alpha / beta): -0.3451 / -0.3535 hartree

2.
# C9H7MoN2O10

C9H7MoN2O10 as an isolated structure in a non-equilibrium geometry (the ωB97M-V functional and the def2-TZVPD basis, OMol25).

```
29
Properties=species:S:1:pos:R:3:mulliken_charge:R:1
Mo -0.753 -1.861 -0.052 2.10
O 0.161 -0.710 3.681 -0.47
C 0.001 -0.511 2.535 0.42
O -0.317 -1.556 1.628 -0.65
C 0.110 0.780 1.813 0.16
C 0.528 1.879 2.561 -0.84
C 0.700 3.097 1.957 -0.31
C 0.539 3.259 0.594 -0.34
C 0.129 2.182 -0.150 0.14
C -0.168 0.940 0.433 0.98
O -0.718 0.006 -0.329 -0.83
N 0.085 2.309 -1.615 0.88
O -0.206 3.380 -2.076 -0.53
O 0.396 1.319 -2.265 -0.65
N 1.120 4.252 2.776 1.04
O 1.288 4.050 3.956 -0.59
O 1.260 5.304 2.195 -0.59
H 0.733 1.777 3.619 0.60
H 0.755 4.208 0.120 0.60
O 1.314 -1.340 -1.412 -0.52
H 1.084 -0.486 -1.835 0.49
H 1.774 -1.864 -2.079 0.33
C -1.483 -4.985 -2.117 -0.83
C -1.296 -3.593 -2.635 0.45
O -1.178 -3.227 -3.741 -0.36
O -1.221 -2.624 -1.567 -0.56
H -2.550 -5.219 -2.110 0.30
H -1.097 -5.076 -1.105 0.28
H -0.991 -5.690 -2.780 0.32
```

Summary:
Total charge: +1
LUMO energy (alpha / beta): -6.514 / -6.519 eV
HOMO energy (alpha / beta): -0.4817 / -0.4817 hartree

3.
# C3H9NO

One molecule with the formula C3H9NO in a non-equilibrium geometry (the ωB97M-V functional and the def2-TZVPD basis, OMol25).

```
14
Properties=species:S:1:pos:R:3:mulliken_charge:R:1
C -1.237 -0.897 -0.039 -1.33
C -0.271 0.303 -0.041 0.47
N 0.099 0.705 1.325 -0.70
C 0.994 0.009 -0.863 -0.83
O 1.867 1.107 -0.868 -0.52
H -2.161 -0.480 0.359 0.35
H -0.846 -1.686 0.600 0.35
H -1.368 -1.343 -1.024 0.36
H -0.719 1.082 -0.665 0.31
H -0.770 1.108 1.675 0.28
H 0.213 -0.133 1.890 0.27
H 0.638 -0.130 -1.883 0.33
H 1.455 -0.928 -0.515 0.32
H 2.107 1.282 0.048 0.34
```

Summary:
Structure (SMILES): C[C@@H](N)CO
LUMO energy: 1.015 eV
HOMO energy: -0.3598 hartree

4.
# H2NO3S2

H2NO3S2 as an isolated structure in a non-equilibrium geometry (the ωB97M-V functional and the def2-TZVPD basis, OMol25).

```
8
Properties=species:S:1:pos:R:3:mulliken_charge:R:1
N -1.514 -0.910 0.625 -0.50
O 0.500 1.464 0.926 -0.54
O 1.677 -0.431 0.107 -0.55
O -0.475 0.132 -1.018 -0.53
S 1.021 1.618 -1.868 -0.32
S 0.704 0.586 -0.160 0.95
H -0.645 -0.499 1.021 0.27
H -1.268 -1.961 0.367 0.22
```

Summary:
Total charge: -1
LUMO energy (alpha / beta): 3.590 / 2.418 eV
HOMO energy (alpha / beta): -0.1513 / -0.1722 hartree
Spin multiplicity: 3
+++
-- Here the piece continues --
Given the dual challenge of defending the Ryan Plan and challenging Obama’s strong record, it’s no wonder so many smart candidates are dropping out. Only the dumb ones are left.
WATCH: Mark Levin: What comes next in the Middle East conflict after Israel-Hamas cease-fire deal?
WND Staff